TOKYO — North Korea on Monday notified neighboring Japan that it plans to launch a satellite in coming days, which may be an attempt to put Pyongyang’s first military reconnaissance satellite into orbit.
Defense Minister Yasukazu Hamada said he ordered Japan’s Self Defense Force to shoot down the satellite or debris, if any entered Japanese territory.
Japan’s coast guard said the notice it received from North Korean waterway authorities said the launch window was from May 31 to June 11, and that the launch may affect waters in the Yellow Sea, East China Sea and east of the Philippines’ Luzon Island.
The coast guard issued a safety warning for ships in the area on those dates because of the possible risks from falling debris. Japan’s coast guard coordinates and distributes maritime safety information in East Asia, which is likely the reason it was the recipient of North Korea’s notice.
To launch a satellite into space, North Korea would have to use long-range missile technology banned by U.N. Security Council resolutions. Its past launches of Earth observation satellites were seen as disguised missile tests.
Japan’s Chief Cabinet Secretary Hirokazu Matsuno said the launch would violate U.N. resolutions and was a “threat to the peace and safety of Japan, the region and the international community.”
Japan has already been on standby for falling missile debris from North Korean launches earlier this year and has deployed missile defense systems such as land-to-air PAC-3 and ship-to-air SM-3 interceptors in southwestern Japan and in the East China Sea.
Matsuno said it was possible the satellite would enter or pass above Japan’s southwestern islands including Okinawa, where the United States has major military bases and thousands of troops.
![North Korea shows Kim Jong Un examining a military spy satellite that may be launched soon](https://media-cldnry.s-nbcnews.com/image/upload/t_fit-760w,f_auto,q_auto:best/rockcms/2023-05/230517-kim-jong-un-mb-0904-8fd2ec.jpg)
Structure and calculated powder diffraction line list of DySc2InAu4 (a structure optimized by DFT (GGA-PBE); a wavelength of 1.5418 Å).
Kinematic intensities with the Lorentz-polarization factor, no thermal factor.

Crystal structure
```
data_DySc2InAu4
_cell_length_a 4.8676
_cell_length_b 4.8676
_cell_length_c 24.2538
_cell_angle_alpha 90.00
_cell_angle_beta 90.00
_cell_angle_gamma 120.00
_symmetry_space_group_name_H-M 'R -3 m'
_symmetry_Int_Tables_number 166
_symmetry_space_group_name_Hall '-R 3 2"'
loop_
_atom_site_label
_atom_site_type_symbol
_atom_site_fract_x
_atom_site_fract_y
_atom_site_fract_z
_atom_site_occupancy
Dy1 Dy 0.0000 0.0000 0.0000 1
Sc1 Sc 0.0000 0.0000 0.2437 1
In1 In 0.0000 0.0000 0.5000 1
Au1 Au 0.0000 0.0000 0.1205 1
Au2 Au 0.0000 0.0000 0.3712 1
```

Largest 10 diffraction maxima, low angle first, 2θ from 10° to 90°:
2θ = 25.74°, intensity 33, (1 0 4); 2θ = 36.51°, intensity 99, (0 1 8); 2θ = 36.93°, intensity 100, (1 1 0); 2θ = 52.91°, intensity 34, (2 0 8); 2θ = 65.43°, intensity 16, (1 0 16); 2θ = 66.27°, intensity 35, (1 2 8); 2θ = 66.55°, intensity 18, (3 0 0); 2θ = 78.62°, intensity 11, (2 2 0); 2θ = 89.17°, intensity 15, (2 1 16); 2θ = 89.94°, intensity 16, (3 1 8)

----------

Computed powder XRD pattern of Ce2Al6CuAu for copper Kα, from the PBE geometry in the Materials Project.
Kinematic intensities with the Lorentz-polarization factor, no thermal factor.

Structure:
```
data_Ce2Al6CuAu
_chemical_formula_sum 'Ce2 Al6 Cu1 Au1'
_symmetry_space_group_name_H-M 'P 4 m m'
_symmetry_Int_Tables_number 99
_cell_length_a 4.2913
_cell_length_b 4.2913
_cell_length_c 10.6771
_cell_angle_alpha 90.00
_cell_angle_beta 90.00
_cell_angle_gamma 90.00
loop_
_symmetry_equiv_pos_as_xyz
'x,y,z'
'-y,x,z'
'-x,-y,z'
'y,-x,z'
'-x,y,z'
'y,x,z'
'x,-y,z'
'-y,-x,z'
loop_
_atom_site_label
_atom_site_type_symbol
_atom_site_fract_x
_atom_site_fract_y
_atom_site_fract_z
Ce1 Ce 0.0000 0.0000 0.0000
Ce2 Ce 0.5000 0.5000 0.4913
Al1 Al 0.0000 0.0000 0.3977
Al2 Al 0.0000 0.5000 0.2465
Al3 Al 0.0000 0.5000 0.7593
Al4 Al 0.5000 0.5000 0.9119
Cu1 Cu 0.5000 0.5000 0.1341
Au1 Au 0.0000 0.0000 0.6298
```

Principal peaks in the range 5 to 70 degrees two-theta, low angle first:
(0 0 1), 8.3 deg, 10.677 Å, rel. 264
(0 0 2), 16.6 deg, 5.339 Å, rel. 307
(1 0 1), 22.3 deg, 3.982 Å, rel. 312
(1 1 0), 29.4 deg, 3.034 Å, rel. 595
(1 0 3), 32.7 deg, 2.739 Å, rel. 1000
(1 1 2), 34.0 deg, 2.638 Å, rel. 645
(2 0 0), 42.1 deg, 2.146 Å, rel. 467
(1 0 5), 47.6 deg, 1.912 Å, rel. 345
(2 1 3), 54.3 deg, 1.689 Å, rel. 472
(2 1 5), 65.4 deg, 1.427 Å, rel. 264

---

Computed powder XRD pattern of InAgSnS4 for copper Kα, from the PBE geometry in the Materials Project.
Kinematic intensities with the Lorentz-polarization factor, no thermal factor.

Structure:
```
data_InAgSnS4
_chemical_formula_sum 'In4 Ag4 Sn4 S16'
_symmetry_space_group_name_H-M 'I m m a'
_symmetry_Int_Tables_number 74
_symmetry_space_group_name_Hall '-I 2b 2'
_cell_length_a 7.7181
_cell_length_b 7.7582
South Korea warned Monday that North Korea will face consequences if it goes ahead with its launch plan in violation of the U.N. Security Council resolutions that ban the North from conducting any launch using ballistic technology.
“Our government strongly warns North Korea against a provocation that threatens peace in the region and urges it to withdraw its illegal launch plan immediately,” a ministry statement said. It said South Korea will cooperate with the international community to resolutely cope with any North Korean provocation.
Earlier this month, North Korean state media reported leader Kim Jong Un had inspected a finished military spy satellite at his country’s aerospace center and approved the satellite’s launch plan. Monday’s launch notice did not specify the type of satellite.
Last week, rival South Korea launched its first commercial-grade satellite into space, which likely will provide it with technology and expertise to place its first military spy satellite into orbit later this year and build more powerful missiles. Experts say Kim would want his country to launch a spy satellite before South Korea does.
North Korea placed Earth observation satellites in orbit in 2012 and 2016. Pyongyang does not notify neighboring countries of its missile firings in advance, but has issued notices ahead of satellite launches.
While North Korea has demonstrated an ability to deliver a satellite into space, there are questions about the satellite’s capability. Foreign experts say the earlier satellites never transmitted imagery back to North Korea, and analysts say the new device displayed in state media appeared too small and crudely designed to support high-resolution imagery.
Spy satellites are among an array of high-tech weapons systems Kim has publicly vowed to develop. Other weapons systems on his wish list include solid-propellant ICBMs, nuclear-powered submarines, hypersonic missiles and multi-warhead missiles.
The North’s satellite launch plan comes amid heightened tensions on the Korean Peninsula.